File >
(1)
PaTa2Tc | GGA-PBE | optimized geometry

For the magnetic moment, the calculation gives 0.00 μB per formula unit. For the relative energy among the computed polymorphs, the calculation gives 0 meV per atom. For the energy relative to the elements, the calculation gives -0.23 eV per formula unit.

The structure belongs to space group P4/mmm (No. 123); the cell edges are 3.159, 3.159 and 7.784 Å and the angles 90.00°, 90.00° and 90.00°. The distinct sites, in fractional coordinates, are Pa at (0.000, 0.000, 0.000), Ta at (0.500, 0.500, 0.296) and Tc at (0.000, 0.000, 0.500).

---

(2)
Th3Bi2C2 | GGA-PBE | optimized geometry

For the magnetic moment, the calculation gives 0.00 μB per formula unit. For the energy relative to the elements, the calculation gives -2.25 eV per formula unit.

The structure belongs to space group P2_1/c (No. 14); the cell edges are 6.992, 7.164 and 8.335 Å and the angles 90.00°, 114.07° and 90.00°. The distinct sites, in fractional coordinates, are Th at (0.000, 0.000, 0.000), Th at (0.406, 0.175, 0.819), Bi at (0.158, 0.574, 0.926) and C at (0.356, 0.087, 0.086).

---

(3)
La4PmOs | GGA-PBE | optimized geometry

For the magnetic moment, the calculation gives 0.00 μB per formula unit. For the energy relative to the elements, the calculation gives -0.16 eV per formula unit.

The structure belongs to space group Immm (No. 71); the cell edges are 6.169, 7.770 and 16.697 Å and the angles 90.00°, 90.00° and 90.00°. The distinct sites, in fractional coordinates, are La at (0.000, 0.000, 0.169), La at (0.000, 0.259, 0.388), La at (0.000, 0.298, 0.000), Pm at (0.000, 0.500, 0.199) and Os at (0.245, 0.500, 0.500).

---

(4)
KGe5Br11 | GGA-PBE | optimized geometry

For the magnetic moment, the calculation gives 0.00 μB per formula unit. The value obtained for the energy relative to the elements, uncorrected is -0.65 eV per atom.

The structure belongs to space group C2/m (No. 12); the cell edges are 9.440, 14.804 and 8.963 Å and the angles 90.00°, 108.38° and 90.00°. The distinct sites, in fractional coordinates, are K at (0.000, 0.000, 0.000), Ge at (0.000, 0.500, 0.000), Ge at (0.219, 0.148, 0.656), Br at (0.000, 0.000, 0.500), Br at (0.081, 0.223, 0.318), Br at (0.084, 0.500, 0.335) and Br at (0.224, 0.370, 0.036).

---

(5)
LaSn2Au2 | GGA-PBE | optimized geometry

For the magnetic moment, the calculation gives 0.00 μB per formula unit. For the energy relative to the elements, the calculation gives -2.92 eV per formula unit.

The structure belongs to space group I4/mmm (No. 139); the cell edges are 4.486, 4.486 and 12.493 Å and the angles 90.00°, 90.00° and 90.00°. The distinct sites, in fractional coordinates, are La at (0.000, 0.000, 0.000), Sn at (0.000, 0.500, 0.250) and Au at (0.000, 0.000, 0.393).

---

(6)
SrEu2Ir | GGA-PBE | optimized geometry

For the magnetic moment, the calculation gives 14.12 μB per formula unit. For the relative energy among the computed polymorphs, the calculation gives 90 meV per atom. For the energy relative to the elements, the calculation gives -0.27 eV per formula unit.

The structure belongs to space group R-3m (No. 166, hexagonal axes); the cell edges are 4.1384, 4.1384 and 32.8315 Å and the angles 90.00°, 90.00° and 120.00°. The distinct sites, in fractional coordinates, are Sr at (0.0000, 0.0000, 0.0000), Eu at (0.0000, 0.0000, 0.1191) and Ir at (0.0000, 0.0000, 0.5000).

---

(7)
InMo2As | GGA-PBE | optimized geometry

For the magnetic moment, the calculation gives 0.00 μB per formula unit. For the relative energy among the computed polymorphs, the calculation gives 264 meV per atom. For the energy relative to the elements, the calculation gives 1.19 eV per formula unit.

Job >
Next, give back the whole of the block above word for word.

Here it is >
(1)
PaTa2Tc | GGA-PBE | optimized geometry

For the magnetic moment, the calculation gives 0.00 μB per formula unit. For the relative energy among the computed polymorphs, the calculation gives 0 meV per atom. For the energy relative to the elements, the calculation gives -0.23 eV per formula unit.

The structure belongs to space group P4/mmm (No. 123); the cell edges are 3.159, 3.159 and 7.784 Å and the angles 90.00°, 90.00° and 90.00°. The distinct sites, in fractional coordinates, are Pa at (0.000, 0.000, 0.000), Ta at (0.500, 0.500, 0.296) and Tc at (0.000, 0.000, 0.500).

---

(2)
Th3Bi2C2 | GGA-PBE | optimized geometry

For the magnetic moment, the calculation gives 0.00 μB per formula unit. For the energy relative to the elements, the calculation gives -2.25 eV per formula unit.

The structure belongs to space group P2_1/c (No. 14); the cell edges are 6.992, 7.164 and 8.335 Å and the angles 90.00°, 114.07° and 90.00°. The distinct sites, in fractional coordinates, are Th at (0.000, 0.000, 0.000), Th at (0.406, 0.175, 0.819), Bi at (0.158, 0.574, 0.926) and C at (0.356, 0.087, 0.086).

---

(3)
La4PmOs | GGA-PBE | optimized geometry

For the magnetic moment, the calculation gives 0.00 μB per formula unit. For the energy relative to the elements, the calculation gives -0.16 eV per formula unit.

The structure belongs to space group Immm (No. 71); the cell edges are 6.169, 7.770 and 16.697 Å and the angles 90.00°, 90.00° and 90.00°. The distinct sites, in fractional coordinates, are La at (0.000, 0.000, 0.169), La at (0.000, 0.259, 0.388), La at (0.000, 0.298, 0.000), Pm at (0.000, 0.500, 0.199) and Os at (0.245, 0.500, 0.500).

---

(4)
KGe5Br11 | GGA-PBE | optimized geometry

For the magnetic moment, the calculation gives 0.00 μB per formula unit. The value obtained for the energy relative to the elements, uncorrected is -0.65 eV per atom.

The structure belongs to space group C2/m (No. 12); the cell edges are 9.440, 14.804 and 8.963 Å and the angles 90.00°, 108.38° and 90.00°. The distinct sites, in fractional coordinates, are K at (0.000, 0.000, 0.000), Ge at (0.000, 0.500, 0.000), Ge at (0.219, 0.148, 0.656), Br at (0.000, 0.000, 0.500), Br at (0.081, 0.223, 0.318), Br at (0.084, 0.500, 0.335) and Br at (0.224, 0.370, 0.036).

---

(5)
LaSn2Au2 | GGA-PBE | optimized geometry

For the magnetic moment, the calculation gives 0.00 μB per formula unit. For the energy relative to the elements, the calculation gives -2.92 eV per formula unit.

The structure belongs to space group I4/mmm (No. 139); the cell edges are 4.486, 4.486 and 12.493 Å and the angles 90.00°, 90.00° and 90.00°. The distinct sites, in fractional coordinates, are La at (0.000, 0.000, 0.000), Sn at (0.000, 0.500, 0.250) and Au at (0.000, 0.000, 0.393).

---

(6)
SrEu2Ir | GGA-PBE | optimized geometry

For the magnetic moment, the calculation gives 14.12 μB per formula unit. For the relative energy among the computed polymorphs, the calculation gives 90 meV per atom. For the energy relative to the elements, the calculation gives -0.27 eV per formula unit.

The structure belongs to space group R-3m (No. 166, hexagonal axes); the cell edges are 4.1384, 4.1384 and 32.8315 Å and the angles 90.00°, 90.00° and 120.00°. The distinct sites, in fractional coordinates, are Sr at (0.0000, 0.0000, 0.0000), Eu at (0.0000, 0.0000, 0.1191) and Ir at (0.0000, 0.0000, 0.5000).

---

(7)
InMo2As | GGA-PBE | optimized geometry

For the magnetic moment, the calculation gives 0.00 μB per formula unit. For the relative energy among the computed polymorphs, the calculation gives 264 meV per atom. For the energy relative to the elements, the calculation gives 1.19 eV per formula unit.